Upon returning from being on the West Coast for July, Alice & I hustled a bit to get a new rocket of hers ready for the August PARA launch just a few days later:
It’s a Stretch Stubby kit from ASP that we received as a surprise gift in an order from a Fourth-of-July sale. It’s one member of a family of “Stubby” rockets from ASP, the other, shorter, ones being actually stubby. We were immediately intrigued to see that the rocket’s made up of several sections of tube, not one. That meant we could convert the kit just a bit so that it can be prepped and launched with any combination and ordering of the sections. Seeing how easy it’d be, I was actually a bit surprised the kit wasn’t designed explicitly to do so. In any event, having distinct sections like that would make it really easy for Alice to paint them in different colors. She was also very interested in being able to change the configuration before each flight. So she got to work on a sketch of her desired paint scheme and I made up a simulation model to evaluate the stability of different length configurations.
-- The entry is interrupted by materials data --
-- begin --
Density functional theory data (GGA-PBE) for a relaxed Ba4MgTa10O30 crystal.

total moment	0.00	μB per formula unit
calculated volume	13.92	A^3/atom
ΔH_f (0 K)	-3422	meV per atom

a b c (Å): 10.038 10.038 10.038
angles (deg): 133.53 117.82 81.06
Atoms (fractional coordinates):
Ba: 0.451 0.951 0.500
Ba: 0.461 0.461 0.000
Ba: 0.050 0.050 0.000
Ba: 0.052 0.552 0.500
Mg: 0.728 0.728 0.000
Ta: 0.811 0.877 0.439
Ta: 0.811 0.372 0.933
Ta: 0.439 0.877 0.067
Ta: 0.439 0.372 0.561
Ta: 0.255 0.505 0.251
Ta: 0.255 0.004 0.749
Ta: 0.059 0.627 0.932
Ta: 0.059 0.127 0.432
Ta: 0.695 0.127 0.068
Ta: 0.695 0.627 0.568
O: 0.029 0.899 0.609
O: 0.029 0.421 0.130
O: 0.291 0.899 0.870
O: 0.291 0.421 0.391
O: 0.821 0.132 0.690
O: 0.771 0.623 0.148
O: 0.442 0.132 0.310
O: 0.475 0.623 0.852
O: 0.220 0.100 0.619
O: 0.220 0.600 0.119
O: 0.481 0.100 0.881
O: 0.481 0.600 0.381
O: 0.585 0.314 0.728
O: 0.585 0.857 0.272
O: 0.926 0.671 0.746
O: 0.926 0.180 0.254
O: 0.888 0.542 0.920
O: 0.888 0.969 0.346
O: 0.622 0.969 0.080
O: 0.622 0.542 0.654
O: 0.057 0.379 0.679
O: 0.076 0.898 0.177
O: 0.700 0.379 0.321
O: 0.721 0.898 0.823
O: 0.258 0.746 0.992
O: 0.258 0.266 0.512
O: 0.754 0.746 0.488
O: 0.754 0.266 0.008
O: 0.258 0.758 0.500
O: 0.250 0.250 0.000
-- stop --
Design & Construction
It turned out all of the configurations were projected to be stable without modification except for flying with solely the tail and nosecone. To add just a little challenge, shifting the center of gravity far enough ahead of the center of pressure in that minimal setup would require a lot of weight if added at the base of the nosecone—the weight would be practically right at the center of pressure given the minimal body length. The ballast had to go at the very tip of the nosecone, and ideally only in this configuration. So I swapped the gorgeous BT-60 MS balsa nosecone from the kit with a plastic one I had laying around. I cut the shoulder open and made a 3D printed screw-in compartment that could be epoxied into the tip. With more time I would have designed & printed a whole nosecone with an integral compartment, but we were on a tight schedule. That compartment provides a place to firmly secure varying weights right at the farthest forward point of the rocket. It also holds the weight in a fixed position rather than swinging about if it was just clipped to the line. The hollow nosecone also let the parachute be packed inside, shifting that weight forward as well. The compartment’s plug additionally serves as the tie down anchor for the shock cord. After unscrewing it and unhooking the parachute’s snap swivel attachment, the line passes easily through the tube sections for swapping them in and out.
After assembling the rocket together, Alice painted it precisely to her previously devised specifications. Her spray painting has improved quite visibly the past few months. Size and weight of the cans is still a challenge, even with a pistol grip attachment, but she’s gotten vastly better at not spraying the paint on too thickly in one go. This time she did though thoroughly entertain herself by “accidentally” heavily spray painting my hand purple while I was holding the nosecone for her. Periodically for days afterward she would randomly stop amid some other activity and ask “Daddy, why’s your hand purple??” and cackle wildly.
In the end, having constructed, finished, and weighed everything to update the simulation with real numbers, a 20g fishing weight tucked into the compartment was projected to make the minimal configuration satisfactorily stable.

Covering a fin with sandable wood sealer so they can be smoothed out (full disclosure, this is a fin for another rocket we did a little work on at the same time but haven’t finished yet).
-- begin --
# Li3Fe4B4O12 | the Materials Project database | PBE+U | relaxed
data_Li3Fe4B4O12
_symmetry_space_group_name_H-M 'P 1'
_symmetry_Int_Tables_number 1
_cell_length_a 5.257
_cell_length_b 9.095
_cell_length_c 10.204
_cell_angle_alpha 89.98
_cell_angle_beta 88.51
_cell_angle_gamma 89.63
loop_
_symmetry_equiv_pos_as_xyz
'x,y,z'
loop_
_atom_site_label
_atom_site_type_symbol
_atom_site_fract_x
_atom_site_fract_y
_atom_site_fract_z
_atom_site_occupancy
Li1 Li 0.000 0.000 0.000 1
Li2 Li 0.002 0.011 0.489 1
Li3 Li 0.181 0.518 0.742 1
Li4 Li 0.192 0.495 0.250 1
Li5 Li 0.510 0.508 0.984 1
Li6 Li 0.679 0.020 0.738 1
Fe1 Fe 0.005 0.343 0.962 1
Fe2 Fe 0.006 0.666 0.468 1
Fe3 Fe 0.184 0.849 0.712 1
Fe4 Fe 0.188 0.161 0.210 1
Fe5 Fe 0.509 0.180 0.456 1
Fe6 Fe 0.510 0.847 0.961 1
Fe7 Fe 0.677 0.352 0.709 1
Fe8 Fe 0.688 0.681 0.218 1
B1 B 0.010 0.332 0.456 1
B2 B 0.013 0.677 0.960 1
B3 B 0.175 0.179 0.704 1
B4 B 0.178 0.831 0.206 1
B5 B 0.504 0.851 0.455 1
B6 B 0.509 0.175 0.958 1
B7 B 0.680 0.678 0.713 1
B8 B 0.686 0.351 0.214 1
O1 O 0.033 0.052 0.694 1
O2 O 0.048 0.961 0.198 1
O3 O 0.055 0.699 0.244 1
O4 O 0.062 0.310 0.746 1
O5 O 0.123 0.811 0.926 1
O6 O 0.126 0.462 0.438 1
O7 O 0.142 0.198 0.428 1
O8 O 0.150 0.547 0.945 1
O9 O 0.247 0.846 0.492 1
O10 O 0.253 0.168 0.998 1
O11 O 0.434 0.176 0.665 1
O12 O 0.434 0.822 0.169 1
O13 O 0.538 0.553 0.720 1
O14 O 0.553 0.230 0.261 1
O15 O 0.553 0.484 0.199 1
O16 O 0.567 0.814 0.744 1
O17 O 0.621 0.311 0.931 1
O18 O 0.635 0.726 0.410 1
O19 O 0.638 0.982 0.464 1
O20 O 0.653 0.048 0.940 1
O21 O 0.760 0.320 0.503 1
O22 O 0.760 0.674 0.009 1
O23 O 0.940 0.672 0.677 1
O24 O 0.945 0.344 0.179 1
# DFT formation energy: -2.301 eV per atom
# Final energy: -322.7 eV per cell
# M_tot: 17.00 μB/f.u.
# Polymorph energy (0 for the lowest one): 4 meV per atom


# Li2V3SnO8 | the Materials Project database | PBE+U | relaxed
data_Li2V3SnO8
_symmetry_space_group_name_H-M 'P 1'
_symmetry_Int_Tables_number 1
_cell_length_a 6.064
_cell_length_b 6.067
_cell_length_c 8.520
_cell_angle_alpha 89.45
_cell_angle_beta 89.99
_cell_angle_gamma 89.27
loop_
_symmetry_equiv_pos_as_xyz
'x,y,z'
loop_
_atom_site_label
_atom_site_type_symbol
_atom_site_fract_x
_atom_site_fract_y
_atom_site_fract_z
_atom_site_occupancy
Li1 Li 0.000 0.000 0.000 1
Li2 Li 0.009 0.766 0.634 1
Li3 Li 0.499 0.501 0.500 1
Li4 Li 0.510 0.265 0.134 1
V1 V 0.002 0.289 0.638 1
V2 V 0.246 0.517 0.875 1
V3 V 0.267 0.017 0.377 1
V4 V 0.503 0.788 0.138 1
V5 V 0.746 0.017 0.375 1
V6 V 0.767 0.516 0.877 1
Sn1 Sn 0.007 0.530 0.250 1
Sn2 Sn 0.507 0.030 0.750 1
O1 O 0.002 0.728 0.877 1
O2 O 0.005 0.258 0.390 1
O3 O 0.009 0.274 0.866 1
O4 O 0.010 0.794 0.386 1
O5 O 0.233 0.024 0.619 1
O6 O 0.237 0.487 0.643 1
O7 O 0.276 0.986 0.140 1
O8 O 0.279 0.524 0.118 1
O9 O 0.502 0.229 0.377 1
O10 O 0.505 0.758 0.890 1
O11 O 0.509 0.775 0.366 1
O12 O 0.510 0.294 0.886 1
O13 O 0.733 0.523 0.119 1
O14 O 0.738 0.986 0.143 1
O15 O 0.776 0.486 0.639 1
O16 O 0.778 0.024 0.618 1
-- stop --
• End of the calculated crystals:
First Launch
Our first launch of the completed-just-in-time rocket was pretty successful. However, after that one just-slightly-creepy retrieval from deep in the corn, and rightly afraid of losing the rocket forever amid the field of 7+ foot tall stalks, Alice decided to call the day a success without trying out all configurations of the rocket. She says we’ll do that once the harvest is done…